_Request_
Could you give back everything underneath with every line break kept?

_Source_
........
LaCdAs2Se | the Alexandria database | PBE | optimized geometry; calculated volume = 38.09 Å³ per atom; total moment = 1.210 μB/cell; total DFT energy (no corrections) = -3.4428 eV/atom; energy relative to the elements, uncorrected = 27.25 kJ per mole of atoms; distance to the lowest polymorph of the same formula = 440 meV per atom
1.0
5.800 0.000 0.000
0.000 5.800 0.000
0.000 0.000 5.660
La Cd As Se
1 1 2 1
Cartesian
0.000 0.000 0.000
2.900 2.900 2.830
0.000 2.900 0.000
2.900 0.000 0.000
0.000 0.000 2.830

=====

The following is a PBE-GGA calculation of a relaxed structure of PmHoZr, from Alexandria.

Summary:
total energy = -5.83 eV/atom
SG = P2_1/m, No. 11
DOS(E_F) = 1.307 states/eV/atom
energy of formation from the pure elements = 0.13 eV per atom

Cell lengths 3.3825, 4.8864, 10.5602 Å; angles 90.00, 99.15, 90.00 degrees
Last column: nearest neighbours and their distance in Å.
Positions (direct):
Pm: 0.0530 0.2500 0.1004  4 Pm 3.22-3.38, 1 Zr 3.42, 4 Ho 3.46
Pm: 0.9470 0.7500 0.8996  4 Pm 3.22-3.38, 1 Zr 3.42, 4 Ho 3.46
Ho: 0.3624 0.2500 0.7297  5 Zr 3.14-3.40, 2 Ho 3.38, 4 Pm 3.46
Ho: 0.6376 0.7500 0.2703  5 Zr 3.14-3.40, 2 Ho 3.38, 4 Pm 3.46
Zr: 0.2156 0.2500 0.4285  5 Ho 3.14-3.40, 6 Zr 3.32-3.38, 1 Pm 3.42
Zr: 0.7844 0.7500 0.5715  5 Ho 3.14-3.40, 6 Zr 3.32-3.38, 1 Pm 3.42

***

The following is a PBE-GGA calculation of a relaxed structure of InMo3Cl, from Alexandria.

Summary:
total energy = -4.75 eV/atom
SG = Pm-3m, No. 221
DOS(E_F) = 1.921 states/eV/atom
uncorrected formation energy = 2.668 eV per atom

Cell lengths 5.0099, 5.0099, 5.0099 Å; angles 90.00, 90.00, 90.00 degrees
Last column: nearest neighbours and their distance in Å.
Positions (direct):
In: 0.0000 0.0000 0.0000  6 Mo 2.50
Mo: 0.0000 0.0000 0.5000  2 In 2.50
Mo: 0.0000 0.5000 0.0000  2 In 2.50
Mo: 0.5000 0.0000 0.0000  2 In 2.50
Cl: 0.5000 0.5000 0.5000  12 Mo 3.54

***

The following is a PBE-GGA calculation of a relaxed structure of CePm2As3Rh4, from Alexandria.

Summary:
total energy = -6.83 eV/atom
SG = P-4m2, No. 115
DOS(E_F) = 0.758 states/eV/atom
energy of formation from the pure elements = -0.95 eV per atom

Cell lengths 4.1825, 4.1825, 11.2761 Å; angles 90.00, 90.00, 90.00 degrees
Last column: nearest neighbours and their distance in Å.
Positions (direct):
Ce: 0.0000 0.0000 0.0000  4 Rh 2.70, 4 As 2.96
Pm: 0.0000 0.5000 0.7155  4 As 3.11, 8 Rh 3.21-3.32
Pm: 0.5000 0.0000 0.2845  4 As 3.11, 8 Rh 3.21-3.32
As: 0.0000 0.5000 0.3690  5 Rh 2.45-2.56
As: 0.5000 0.0000 0.6310  5 Rh 2.45-2.56
As: 0.5000 0.5000 0.0000  4 Rh 2.70, 4 Ce 2.96
Rh: 0.0000 0.0000 0.5000  4 As 2.56
Rh: 0.0000 0.5000 0.1514  3 As 2.45-2.70, 2 Ce 2.70
Rh: 0.5000 0.0000 0.8486  3 As 2.45-2.70, 2 Ce 2.70
Rh: 0.5000 0.5000 0.5000  4 As 2.56

***

The following is a PBE-GGA calculation of a relaxed structure of TbAl2Fe, from Alexandria.

Summary:
total energy = -5.04 eV/atom
SG = R-3m, No. 166
DOS(E_F) = 0.925 states/eV/atom
energy of formation from the pure elements = 0.10 eV per atom

Cell lengths 9.1557, 9.1557, 9.1557 Å; angles 19.26, 19.26, 19.26 degrees
Last column: nearest neighbours and their distance in Å.
Positions (direct):
Tb: 0.0000 0.0000 0.0000  6 Tb 3.06, 6 Al 3.24
Al: 0.2326 0.2326 0.2326  3 Fe 2.51
Al: 0.7674 0.7674 0.7674  3 Fe 2.51
Fe: 0.5000 0.5000 0.5000  6 Al 2.51

***

The following is a PBE-GGA calculation of a relaxed structure of CsTlSn3, from Alexandria.

Summary:
total energy = -1.87 eV/atom
SG = Pm-3m, No. 221
DOS(E_F) = 0.838 states/eV/atom
energy of formation from the pure elements = 1.18 eV per atom

Cell lengths 6.2437, 6.2437, 6.2437 Å; angles 90.00, 90.00, 90.00 degrees
Last column: nearest neighbours and their distance in Å.
Positions (direct):
Cs: 0.0000 0.0000 0.0000  6 Sn 3.12
Tl: 0.5000 0.5000 0.5000  12 Sn 4.41
Sn: 0.0000 0.0000 0.5000  2 Cs 3.12
Sn: 0.0000 0.5000 0.0000  2 Cs 3.12
Sn: 0.5000 0.0000 0.0000  2 Cs 3.12

***

The following is a PBE-GGA calculation of a relaxed structure of Ba2CaZr, from Alexandria.

Summary:
........

_Worked solution_
LaCdAs2Se | the Alexandria database | PBE | optimized geometry; calculated volume = 38.09 Å³ per atom; total moment = 1.210 μB/cell; total DFT energy (no corrections) = -3.4428 eV/atom; energy relative to the elements, uncorrected = 27.25 kJ per mole of atoms; distance to the lowest polymorph of the same formula = 440 meV per atom
1.0
5.800 0.000 0.000
0.000 5.800 0.000
0.000 0.000 5.660
La Cd As Se
1 1 2 1
Cartesian
0.000 0.000 0.000
2.900 2.900 2.830
0.000 2.900 0.000
2.900 0.000 0.000
0.000 0.000 2.830

=====

The following is a PBE-GGA calculation of a relaxed structure of PmHoZr, from Alexandria.

Summary:
total energy = -5.83 eV/atom
SG = P2_1/m, No. 11
DOS(E_F) = 1.307 states/eV/atom
energy of formation from the pure elements = 0.13 eV per atom

Cell lengths 3.3825, 4.8864, 10.5602 Å; angles 90.00, 99.15, 90.00 degrees
Last column: nearest neighbours and their distance in Å.
Positions (direct):
Pm: 0.0530 0.2500 0.1004  4 Pm 3.22-3.38, 1 Zr 3.42, 4 Ho 3.46
Pm: 0.9470 0.7500 0.8996  4 Pm 3.22-3.38, 1 Zr 3.42, 4 Ho 3.46
Ho: 0.3624 0.2500 0.7297  5 Zr 3.14-3.40, 2 Ho 3.38, 4 Pm 3.46
Ho: 0.6376 0.7500 0.2703  5 Zr 3.14-3.40, 2 Ho 3.38, 4 Pm 3.46
Zr: 0.2156 0.2500 0.4285  5 Ho 3.14-3.40, 6 Zr 3.32-3.38, 1 Pm 3.42
Zr: 0.7844 0.7500 0.5715  5 Ho 3.14-3.40, 6 Zr 3.32-3.38, 1 Pm 3.42

***

The following is a PBE-GGA calculation of a relaxed structure of InMo3Cl, from Alexandria.

Summary:
total energy = -4.75 eV/atom
SG = Pm-3m, No. 221
DOS(E_F) = 1.921 states/eV/atom
uncorrected formation energy = 2.668 eV per atom

Cell lengths 5.0099, 5.0099, 5.0099 Å; angles 90.00, 90.00, 90.00 degrees
Last column: nearest neighbours and their distance in Å.
Positions (direct):
In: 0.0000 0.0000 0.0000  6 Mo 2.50
Mo: 0.0000 0.0000 0.5000  2 In 2.50
Mo: 0.0000 0.5000 0.0000  2 In 2.50
Mo: 0.5000 0.0000 0.0000  2 In 2.50
Cl: 0.5000 0.5000 0.5000  12 Mo 3.54

***

The following is a PBE-GGA calculation of a relaxed structure of CePm2As3Rh4, from Alexandria.

Summary:
total energy = -6.83 eV/atom
SG = P-4m2, No. 115
DOS(E_F) = 0.758 states/eV/atom
energy of formation from the pure elements = -0.95 eV per atom

Cell lengths 4.1825, 4.1825, 11.2761 Å; angles 90.00, 90.00, 90.00 degrees
Last column: nearest neighbours and their distance in Å.
Positions (direct):
Ce: 0.0000 0.0000 0.0000  4 Rh 2.70, 4 As 2.96
Pm: 0.0000 0.5000 0.7155  4 As 3.11, 8 Rh 3.21-3.32
Pm: 0.5000 0.0000 0.2845  4 As 3.11, 8 Rh 3.21-3.32
As: 0.0000 0.5000 0.3690  5 Rh 2.45-2.56
As: 0.5000 0.0000 0.6310  5 Rh 2.45-2.56
As: 0.5000 0.5000 0.0000  4 Rh 2.70, 4 Ce 2.96
Rh: 0.0000 0.0000 0.5000  4 As 2.56
Rh: 0.0000 0.5000 0.1514  3 As 2.45-2.70, 2 Ce 2.70
Rh: 0.5000 0.0000 0.8486  3 As 2.45-2.70, 2 Ce 2.70
Rh: 0.5000 0.5000 0.5000  4 As 2.56

***

The following is a PBE-GGA calculation of a relaxed structure of TbAl2Fe, from Alexandria.

Summary:
total energy = -5.04 eV/atom
SG = R-3m, No. 166
DOS(E_F) = 0.925 states/eV/atom
energy of formation from the pure elements = 0.10 eV per atom

Cell lengths 9.1557, 9.1557, 9.1557 Å; angles 19.26, 19.26, 19.26 degrees
Last column: nearest neighbours and their distance in Å.
Positions (direct):
Tb: 0.0000 0.0000 0.0000  6 Tb 3.06, 6 Al 3.24
Al: 0.2326 0.2326 0.2326  3 Fe 2.51
Al: 0.7674 0.7674 0.7674  3 Fe 2.51
Fe: 0.5000 0.5000 0.5000  6 Al 2.51

***

The following is a PBE-GGA calculation of a relaxed structure of CsTlSn3, from Alexandria.

Summary:
total energy = -1.87 eV/atom
SG = Pm-3m, No. 221
DOS(E_F) = 0.838 states/eV/atom
energy of formation from the pure elements = 1.18 eV per atom

Cell lengths 6.2437, 6.2437, 6.2437 Å; angles 90.00, 90.00, 90.00 degrees
Last column: nearest neighbours and their distance in Å.
Positions (direct):
Cs: 0.0000 0.0000 0.0000  6 Sn 3.12
Tl: 0.5000 0.5000 0.5000  12 Sn 4.41
Sn: 0.0000 0.0000 0.5000  2 Cs 3.12
Sn: 0.0000 0.5000 0.0000  2 Cs 3.12
Sn: 0.5000 0.0000 0.0000  2 Cs 3.12

***

The following is a PBE-GGA calculation of a relaxed structure of Ba2CaZr, from Alexandria.

Summary: